Activity.
Give back the block further down from the first line to the one with "-3.24285 0.29173" exactly.

Data.
=====
ORCA calculation (the ωB97M-V functional and the def2-TZVPD basis) on a molecular structure, C39H38CaIN7O2SSi at a distorted geometry.

Summary:
Relative energy (zero: lowest compared OMol25 entry of this formula, charge and spin): 67.98 kJ/mol
Charge: 0
HOMO: -6.95 eV

Each line ends with the Mulliken charge.
Cartesian coordinates (Å):
Ca: 0.68566 0.00262 -0.02681  1.57
C: 2.28127 2.18611 1.75474  -1.72
N: 2.27237 1.88722 0.31065  1.39
C: 2.11423 3.10980 -0.48436  -1.14
C: 1.63142 2.78007 -1.87529  0.46
C: 2.32478 3.17536 -3.00508  -0.96
C: 1.82531 2.83451 -4.25413  -0.74
C: 0.64757 2.11505 -4.32916  -1.09
C: 0.01870 1.76395 -3.14312  0.30
N: 0.48774 2.08037 -1.93731  0.17
C: 3.52128 1.17007 -0.02858  -2.04
C: 3.49325 0.45151 -1.36858  1.08
C: 4.66590 0.27827 -2.08538  -1.08
C: 4.63558 -0.45034 -3.26116  -0.66
C: 3.43074 -0.97462 -3.69906  -1.04
C: 2.30179 -0.75568 -2.93224  -0.30
N: 2.32695 -0.06280 -1.78506  1.01
C: 0.99157 2.76150 2.30362  1.00
C: 0.90867 3.01630 3.67010  -0.98
C: -0.28363 3.48195 4.18040  -0.50
C: -1.35404 3.68304 3.31480  -0.65
C: -1.16976 3.41213 1.97490  -0.51
N: -0.01276 2.96903 1.46935  0.09
H: 3.09591 2.88491 1.99530  0.63
H: 2.48848 1.25588 2.28811  0.53
H: 3.04538 3.68923 -0.49909  0.25
H: 1.33006 3.70265 -0.01916  0.60
H: 3.25334 3.72319 -2.90295  0.44
H: 2.35655 3.11952 -5.15382  0.42
H: 0.22555 1.81136 -5.27803  0.48
H: -0.89158 1.17280 -3.16907  0.33
H: 3.70352 0.40393 0.73109  0.34
H: 4.38061 1.85173 -0.00322  0.54
H: 5.58898 0.70702 -1.71609  0.53
H: 5.54326 -0.60256 -3.83239  0.43
H: 3.35527 -1.54191 -4.61677  0.52
H: 1.33459 -1.13920 -3.24588  0.29
H: 1.75637 2.81655 4.31561  0.44
H: -0.38965 3.66994 5.24183  0.41
H: -2.31331 4.03172 3.67389  0.49
H: -1.98124 3.53654 1.26485  0.45
C: -5.57661 0.17942 3.72616  -1.19
Si: -3.74541 -0.17319 3.58860  0.20
C: -3.50518 -2.00372 3.75083  -1.02
C: -2.92289 0.73868 4.97982  -0.87
C: -3.20287 0.40126 1.88147  0.57
C: -4.11628 0.95194 1.00216  0.09
C: -3.75388 1.33042 -0.29616  -1.59
C: -2.45856 1.09132 -0.67404  -0.39
N: -1.53794 0.54549 0.13517  0.54
C: -1.85996 0.23672 1.41858  -0.46
S: -0.57303 -0.33604 2.44972  -0.30
H: -5.95039 -0.18134 4.68994  0.32
H: -6.15436 -0.31946 2.94216  0.32
H: -5.78359 1.25348 3.67442  0.29
H: -3.64124 -2.31069 4.79277  0.35
H: -2.49997 -2.28896 3.43500  0.28
H: -4.23403 -2.54303 3.13902  0.30
H: -3.24285 0.29173 5.92729  0.41
H: -3.21819 1.79224 4.98632  0.24
H: -1.83540 0.67760 4.90776  0.21
H: -5.14290 1.10177 1.32067  0.39
H: -4.45965 1.77730 -0.98286  0.49
H: -2.11688 1.34684 -1.67096  0.15
O: 4.23212 -1.85950 1.59036  -0.77
C: 3.21874 -2.36305 1.15632  -0.05
N: 2.12637 -1.68293 0.64257  0.09
C: 1.22596 -2.59804 0.19965  0.11
O: 0.16331 -2.28438 -0.37561  -0.68
C: 1.70326 -3.99010 0.47759  0.39
C: 1.13741 -5.22339 0.24900  -0.30
C: 1.87537 -6.34156 0.64027  -0.60
C: 3.12864 -6.20136 1.23237  -0.44
C: 3.68382 -4.94006 1.45450  -0.53
C: 2.94239 -3.84886 1.06459  -0.15
H: 0.16225 -5.31812 -0.21133  0.50
H: 1.46941 -7.33296 0.48401  0.41
H: 3.67719 -7.08671 1.52768  0.39
H: 4.65530 -4.81916 1.91647  0.48
I: -0.14626 -0.53098 -6.50608  0.06
C: -1.49956 -0.98648 -4.96574  0.14
C: -2.85514 -1.04246 -5.26096  -0.62
C: -3.72200 -1.32706 -4.21691  -0.39
C: -3.20767 -1.53942 -2.94859  -1.09
C: -1.83637 -1.46886 -2.77506  -0.46
N: -0.98338 -1.18902 -3.77095  0.01
H: -3.21230 -0.86478 -6.26496  0.40
H: -4.78919 -1.37543 -4.39673  0.41
H: -3.84970 -1.74771 -2.10317  0.49
H: -1.39462 -1.60613 -1.80058  1.11

ORCA calculation (the ωB97M-V functional and the def2-TZVPD basis) on a molecular structure, C39H38Cl2F6N2O9PS4Si2Ti at a distorted geometry.

Summary:
Relative energy (zero: lowest compared OMol25 entry of this formula, charge and spin): 650.02 kJ/mol
2S+1: 2
Expectation value of S²: 0.75
Charge: -2
HOMO (spin up / spin down): -1.51 / -2.10 eV

Each line ends with the Mulliken charge.
Cartesian coordinates (Å):
Ti: 1.02712 0.08145 0.64529  0.21
C: -2.19822 2.42882 0.30894  -0.37
Si: -0.59006 2.35264 -0.72285  0.69
=====

Response.
ORCA calculation (the ωB97M-V functional and the def2-TZVPD basis) on a molecular structure, C39H38CaIN7O2SSi at a distorted geometry.

Summary:
Relative energy (zero: lowest compared OMol25 entry of this formula, charge and spin): 67.98 kJ/mol
Charge: 0
HOMO: -6.95 eV

Each line ends with the Mulliken charge.
Cartesian coordinates (Å):
Ca: 0.68566 0.00262 -0.02681  1.57
C: 2.28127 2.18611 1.75474  -1.72
N: 2.27237 1.88722 0.31065  1.39
C: 2.11423 3.10980 -0.48436  -1.14
C: 1.63142 2.78007 -1.87529  0.46
C: 2.32478 3.17536 -3.00508  -0.96
C: 1.82531 2.83451 -4.25413  -0.74
C: 0.64757 2.11505 -4.32916  -1.09
C: 0.01870 1.76395 -3.14312  0.30
N: 0.48774 2.08037 -1.93731  0.17
C: 3.52128 1.17007 -0.02858  -2.04
C: 3.49325 0.45151 -1.36858  1.08
C: 4.66590 0.27827 -2.08538  -1.08
C: 4.63558 -0.45034 -3.26116  -0.66
C: 3.43074 -0.97462 -3.69906  -1.04
C: 2.30179 -0.75568 -2.93224  -0.30
N: 2.32695 -0.06280 -1.78506  1.01
C: 0.99157 2.76150 2.30362  1.00
C: 0.90867 3.01630 3.67010  -0.98
C: -0.28363 3.48195 4.18040  -0.50
C: -1.35404 3.68304 3.31480  -0.65
C: -1.16976 3.41213 1.97490  -0.51
N: -0.01276 2.96903 1.46935  0.09
H: 3.09591 2.88491 1.99530  0.63
H: 2.48848 1.25588 2.28811  0.53
H: 3.04538 3.68923 -0.49909  0.25
H: 1.33006 3.70265 -0.01916  0.60
H: 3.25334 3.72319 -2.90295  0.44
H: 2.35655 3.11952 -5.15382  0.42
H: 0.22555 1.81136 -5.27803  0.48
H: -0.89158 1.17280 -3.16907  0.33
H: 3.70352 0.40393 0.73109  0.34
H: 4.38061 1.85173 -0.00322  0.54
H: 5.58898 0.70702 -1.71609  0.53
H: 5.54326 -0.60256 -3.83239  0.43
H: 3.35527 -1.54191 -4.61677  0.52
H: 1.33459 -1.13920 -3.24588  0.29
H: 1.75637 2.81655 4.31561  0.44
H: -0.38965 3.66994 5.24183  0.41
H: -2.31331 4.03172 3.67389  0.49
H: -1.98124 3.53654 1.26485  0.45
C: -5.57661 0.17942 3.72616  -1.19
Si: -3.74541 -0.17319 3.58860  0.20
C: -3.50518 -2.00372 3.75083  -1.02
C: -2.92289 0.73868 4.97982  -0.87
C: -3.20287 0.40126 1.88147  0.57
C: -4.11628 0.95194 1.00216  0.09
C: -3.75388 1.33042 -0.29616  -1.59
C: -2.45856 1.09132 -0.67404  -0.39
N: -1.53794 0.54549 0.13517  0.54
C: -1.85996 0.23672 1.41858  -0.46
S: -0.57303 -0.33604 2.44972  -0.30
H: -5.95039 -0.18134 4.68994  0.32
H: -6.15436 -0.31946 2.94216  0.32
H: -5.78359 1.25348 3.67442  0.29
H: -3.64124 -2.31069 4.79277  0.35
H: -2.49997 -2.28896 3.43500  0.28
H: -4.23403 -2.54303 3.13902  0.30
H: -3.24285 0.29173 5.92729  0.41